Excerpt >
RbSmSeI: relaxed, GGA-PBE.

Calculated values
E_form (uncorrected)	-1360	meV per atom
D(E_F)	5.138	states/eV per cell
volume	141	Å³/f.u.
total moment	0.0	μB per formula unit

abc: 7.493 4.332 9.050
angles: 90.00 105.98 90.00
Fractional coordinates of all 8 atoms:
Rb  0.000  0.000  0.000
Rb  0.500  0.500  0.000
Sm  0.191  0.000  0.573
Sm  0.691  0.500  0.573
Se  0.083  0.500  0.749
Se  0.583  0.000  0.749
I  0.277  0.500  0.331
I  0.777  0.000  0.331



LaThGaAg: relaxed, GGA-PBE.

Calculated values
ΔH_f (0 K)	-27.9	kJ/mol of atoms
D(E_F)	18.401	states/eV per cell
volume	106	Å³/f.u.
total moment	0.0	μB per formula unit

abc: 7.514 7.514 7.514
angles: 90.00 90.00 90.00
Fractional coordinates of all 16 atoms:
La  0.000  0.000  0.000
La  0.000  0.500  0.500
La  0.500  0.000  0.500
La  0.500  0.500  0.000
Th  0.000  0.000  0.500
Th  0.000  0.500  0.000
Th  0.500  0.000  0.000
Th  0.500  0.500  0.500
Ga  0.250  0.250  0.750
Ga  0.250  0.750  0.250
Ga  0.750  0.250  0.250
Ga  0.750  0.750  0.750
Ag  0.250  0.250  0.250
Ag  0.250  0.750  0.750
Ag  0.750  0.250  0.750
Ag  0.750  0.750  0.250



AgTe2Br: relaxed, GGA-PBE.

Calculated values
E_form (uncorrected)	22	meV per atom
D(E_F)	2.048	states/eV per cell
volume	113	Å³/f.u.
total moment	0.0	μB per formula unit

abc: 6.082 6.082 6.122
angles: 90.00 90.00 90.00
Fractional coordinates of all 8 atoms:
Ag  0.000  0.000  0.000
Ag  0.500  0.500  0.500
Te  0.000  0.500  0.000
Te  0.000  0.500  0.500
Te  0.500  0.000  0.000
Te  0.500  0.000  0.500
Br  0.000  0.000  0.500
Br  0.500  0.500  0.000



ZnPbBr2F: relaxed, GGA-PBE.

Calculated values
E_form (uncorrected)	-458	meV per atom
D(E_F)	4.720	states/eV per cell
volume	158	Å³/f.u.
total moment	0.0	μB per formula unit

abc: 5.998 5.998 4.397
angles: 90.00 90.00 90.00
Fractional coordinates of all 5 atoms:
Zn  0.000  0.000  0.000
Pb  0.500  0.500  0.000
Br  0.000  0.500  0.500
Br  0.500  0.000  0.500
F  0.500  0.500  0.500

----------

Record 1
## Al3Ag2 (PBE)

Data for a relaxed structure of Al3Ag2.

It has space group P-3m1 (No. 164), with a = 4.4007 Å, b = 4.4007 Å, c = 5.4593 Å, α = 90.00°, β = 90.00° and γ = 120.00°. The inequivalent atoms are Al at (0.0000, 0.0000, 0.0000), Al at (0.3333, 0.6667, 0.3517) and Ag at (0.3333, 0.6667, 0.8270).

For the total moment, the calculation gives 0.000 μB per atom. For the total energy, the calculation gives -3.34 eV per atom. As for the energy relative to the lowest polymorph listed for this composition: 0.078 eV/atom. Its density of states at the Fermi level is 0.292 states/eV/atom.

***

Record 2
## AlAg (PBE)

Data for a relaxed structure of AlAg.

It has space group Pm (No. 6), with a = 6.924 Å, b = 2.965 Å, c = 7.037 Å, α = 90.00°, β = 109.60° and γ = 90.00°. The inequivalent atoms are Al at (0.000, 0.000, 0.000), Al at (0.133, 0.500, 0.374), Al at (0.615, 0.500, 0.880), Al at (0.864, 0.500, 0.629), Ag at (0.227, 0.000, 0.737), Ag at (0.365, 0.500, 0.121), Ag at (0.504, 0.000, 0.510) and Ag at (0.765, 0.000, 0.252).

For the total moment, the calculation gives 0.000 μB per atom. For the total energy, the calculation gives -3.33 eV per atom. Its density of states at the Fermi level is 0.309 states/eV/atom.

***

Record 3
## AlAg (PBE)

Data for a relaxed structure of AlAg.

It has space group Fddd (No. 70, origin choice 2), with a = 2.992 Å, b = 10.736 Å, c = 17.074 Å, α = 90.00°, β = 90.00° and γ = 90.00°. The inequivalent atoms are Al at (0.125, 0.125, 0.013) and Ag at (0.125, 0.258, 0.625).

For the total moment, the calculation gives 0.000 μB per atom. For the total energy, the calculation gives -3.29 eV per atom. Its density of states at the Fermi level is 0.228 states/eV/atom.

***

Number 1: ΔH_f (0 K) 0.05 eV per atom. Number 2: ΔH_f (0 K) -0.03 eV per atom. Number 3: ΔH_f (0 K) 0.00 eV per atom.

----------

PBE+U CdCoO2, optimized geometry; total DFT energy (no corrections) = -4.94 eV/atom; magnetization = 3.00 μB per formula unit
1.0
1.713 0.989 5.719
-1.713 0.989 5.719

Work order >
The reader should type out only the last part of the notes above, starting with the line that has "RbSmSeI: relaxed,".

Completed >
RbSmSeI: relaxed, GGA-PBE.

Calculated values
E_form (uncorrected)	-1360	meV per atom
D(E_F)	5.138	states/eV per cell
volume	141	Å³/f.u.
total moment	0.0	μB per formula unit

abc: 7.493 4.332 9.050
angles: 90.00 105.98 90.00
Fractional coordinates of all 8 atoms:
Rb  0.000  0.000  0.000
Rb  0.500  0.500  0.000
Sm  0.191  0.000  0.573
Sm  0.691  0.500  0.573
Se  0.083  0.500  0.749
Se  0.583  0.000  0.749
I  0.277  0.500  0.331
I  0.777  0.000  0.331



LaThGaAg: relaxed, GGA-PBE.

Calculated values
ΔH_f (0 K)	-27.9	kJ/mol of atoms
D(E_F)	18.401	states/eV per cell
volume	106	Å³/f.u.
total moment	0.0	μB per formula unit

abc: 7.514 7.514 7.514
angles: 90.00 90.00 90.00
Fractional coordinates of all 16 atoms:
La  0.000  0.000  0.000
La  0.000  0.500  0.500
La  0.500  0.000  0.500
La  0.500  0.500  0.000
Th  0.000  0.000  0.500
Th  0.000  0.500  0.000
Th  0.500  0.000  0.000
Th  0.500  0.500  0.500
Ga  0.250  0.250  0.750
Ga  0.250  0.750  0.250
Ga  0.750  0.250  0.250
Ga  0.750  0.750  0.750
Ag  0.250  0.250  0.250
Ag  0.250  0.750  0.750
Ag  0.750  0.250  0.750
Ag  0.750  0.750  0.250



AgTe2Br: relaxed, GGA-PBE.

Calculated values
E_form (uncorrected)	22	meV per atom
D(E_F)	2.048	states/eV per cell
volume	113	Å³/f.u.
total moment	0.0	μB per formula unit

abc: 6.082 6.082 6.122
angles: 90.00 90.00 90.00
Fractional coordinates of all 8 atoms:
Ag  0.000  0.000  0.000
Ag  0.500  0.500  0.500
Te  0.000  0.500  0.000
Te  0.000  0.500  0.500
Te  0.500  0.000  0.000
Te  0.500  0.000  0.500
Br  0.000  0.000  0.500
Br  0.500  0.500  0.000



ZnPbBr2F: relaxed, GGA-PBE.

Calculated values
E_form (uncorrected)	-458	meV per atom
D(E_F)	4.720	states/eV per cell
volume	158	Å³/f.u.
total moment	0.0	μB per formula unit

abc: 5.998 5.998 4.397
angles: 90.00 90.00 90.00
Fractional coordinates of all 5 atoms:
Zn  0.000  0.000  0.000
Pb  0.500  0.500  0.000
Br  0.000  0.500  0.500
Br  0.500  0.000  0.500
F  0.500  0.500  0.500

----------

Record 1
## Al3Ag2 (PBE)

Data for a relaxed structure of Al3Ag2.

It has space group P-3m1 (No. 164), with a = 4.4007 Å, b = 4.4007 Å, c = 5.4593 Å, α = 90.00°, β = 90.00° and γ = 120.00°. The inequivalent atoms are Al at (0.0000, 0.0000, 0.0000), Al at (0.3333, 0.6667, 0.3517) and Ag at (0.3333, 0.6667, 0.8270).

For the total moment, the calculation gives 0.000 μB per atom. For the total energy, the calculation gives -3.34 eV per atom. As for the energy relative to the lowest polymorph listed for this composition: 0.078 eV/atom. Its density of states at the Fermi level is 0.292 states/eV/atom.

***

Record 2
## AlAg (PBE)

Data for a relaxed structure of AlAg.

It has space group Pm (No. 6), with a = 6.924 Å, b = 2.965 Å, c = 7.037 Å, α = 90.00°, β = 109.60° and γ = 90.00°. The inequivalent atoms are Al at (0.000, 0.000, 0.000), Al at (0.133, 0.500, 0.374), Al at (0.615, 0.500, 0.880), Al at (0.864, 0.500, 0.629), Ag at (0.227, 0.000, 0.737), Ag at (0.365, 0.500, 0.121), Ag at (0.504, 0.000, 0.510) and Ag at (0.765, 0.000, 0.252).

For the total moment, the calculation gives 0.000 μB per atom. For the total energy, the calculation gives -3.33 eV per atom. Its density of states at the Fermi level is 0.309 states/eV/atom.

***

Record 3
## AlAg (PBE)

Data for a relaxed structure of AlAg.

It has space group Fddd (No. 70, origin choice 2), with a = 2.992 Å, b = 10.736 Å, c = 17.074 Å, α = 90.00°, β = 90.00° and γ = 90.00°. The inequivalent atoms are Al at (0.125, 0.125, 0.013) and Ag at (0.125, 0.258, 0.625).

For the total moment, the calculation gives 0.000 μB per atom. For the total energy, the calculation gives -3.29 eV per atom. Its density of states at the Fermi level is 0.228 states/eV/atom.

***

Number 1: ΔH_f (0 K) 0.05 eV per atom. Number 2: ΔH_f (0 K) -0.03 eV per atom. Number 3: ΔH_f (0 K) 0.00 eV per atom.

----------

PBE+U CdCoO2, optimized geometry; total DFT energy (no corrections) = -4.94 eV/atom; magnetization = 3.00 μB per formula unit
1.0
1.713 0.989 5.719
-1.713 0.989 5.719